Thursday, September 18, 2008

thoughts on adoption...

I just put Mia to bed and read her a book, like every other night. But tonight, I cried while I read to her. The book was called : Shaoey and Dot and it's a book about adoption. The baby in the story is in an orphanage and there's a ladybug that stays with her until she's adopted by her family.
This is the part where I cried...........

"See, I've waited till now to tell you this story.
It's about all the reasons you cry.
Sometimes it's because you feel sick, tired ,or hungry,
And sometimes you just want your pants dry."
"But, then, there's a cry that's the saddest of all.
In fact, it's unlike any other.
It comes from a deep, empty place in your heart
That can only be filled by a mother."

It just brought me back to that time that I waited and waited for Mia to come home. I felt such an ache in my heart and an emptiness in my soul that I can never explain to anyone who hasn't gone through adoption themselves. It's unlike any other feeling I've ever had and so very painful. To know that your child is in another country, needing love, affection, someone to love them as only a mother can. And you can't give that to's very difficult to deal with. It's a literal ache, as the months go on and all you want to do is hold that child, tell her you love her, kiss her face and rock her to sleep. Help her when she's not feeling well, change her clothes when she's dirty, calm her when she's upset, just give her the love that she deserves and longs for. And you can't....all you can do is sit and wait....and wait...........and wait.................and pray, of course.
Reading that book brought back all those feelings for me like they were yesterday. I remember getting a picture of Mia from my agency, as I so often did (which was wonderful) but this time, it wasn't so pleasant. She was sick, had a horrible rash on her face and was lying on the tile floor in the orphanage. She looked miserable. All I could think about was how desperately I wanted to be there to make her feel hold her and comfort her and give her a cool bath. It was torture not being able to help my sick was such a motherly instinct that at the moment, I knew for sure Mia was meant to be my daughter...and no matter how long it took to get her home, God will bring her home to me...
And He did. Not in my time, but in His. And I may never know why it took so long, and in the end, does it really matter? All that matters is that I have my baby girl home now, where she belongs and now I can truly be her mother and comfort her whenever she needs comforting, tell her I love her 20 times a day, give her tons of hugs and kisses to make up for all those years I wasn't there and just love her like a mother should.
God is good....and so is the gift of being a mom. 


Lena Just Lena said...

Thanks for sharing, Michele. I know what you mean-being separated and waiting waiting waiting. Sometimes it feels helpless. Sometimes it feels like it will never end. I'm blessed also by frequent updates, pictures and occassional video. I think I might die without that! Not really, but you know what I mean.

God is great. Even while I wait.

Missy said...

Crystal structures that have nothing to do with the piece:
Entry 1:
Here is a relaxed structure of MgTlBrF2 from the Alexandria database. Energies are from GGA-PBE.

a b c (Å): 4.0195 7.0472 7.9343
angles (deg): 90.00 90.00 106.57
With the nearest neighbours (Å) after each atom.
Positions (direct):
Mg 0.0000 0.0000 0.0000  2 F 1.87
Mg 0.0000 0.0000 0.5000  2 F 1.87
Tl 0.7261 0.4522 0.7500  6 F 2.86-3.00
Tl 0.2739 0.5478 0.2500  6 F 2.86-3.00
Br 0.4645 0.9290 0.7500  4 Mg 2.86
Br 0.5355 0.0710 0.2500  4 Mg 2.86
F 0.1355 0.2710 0.9543  1 Mg 1.87
F 0.8645 0.7290 0.0457  1 Mg 1.87
F 0.1355 0.2710 0.5457  1 Mg 1.87
F 0.8645 0.7290 0.4543  1 Mg 1.87

## Properties
Formation energy without anion corrections in eV/atom: -2.161
Offset from the most stable computed form in meV per atom: 0
Space group: Cmcm (63)

Entry 2:
Here is a relaxed structure of Ta3Cu from the Alexandria database. Energies are from GGA-PBE.

a b c (Å): 2.8171 2.7713 9.0939
angles (deg): 90.00 90.00 90.00
With the nearest neighbours (Å) after each atom.
Positions (direct):
Cu 0.0000 0.0000 0.9722  6 Ta 2.72-2.76, 4 Cu 2.77-2.82
Ta 0.0000 0.5000 0.4619  10 Ta 2.77-3.04
Ta 0.5000 0.5000 0.1833  4 Cu 2.76, 6 Ta 2.77-2.90
Ta 0.5000 0.0000 0.7160  2 Cu 2.72, 8 Ta 2.77-3.04

## Properties
Energy relative to the elements in kcal/mol of atoms: 9.14
Space group: Pmm2 (25)

Entry 3:
Here is a relaxed structure of NdEr2Hg2 from the Alexandria database. Energies are from GGA-PBE.

a b c (Å): 3.7313 5.3731 13.8648
angles (deg): 90.00 97.72 90.00
With the nearest neighbours (Å) after each atom.
Positions (direct):
Nd 0.8518 0.7500 0.7071  6 Hg 3.27-3.37, 2 Er 3.65
Nd 0.1482 0.2500 0.2929  6 Hg 3.27-3.37, 2 Er 3.65
Er 0.0485 0.7500 0.0958  8 Hg 3.15-3.27
Er 0.9515 0.2500 0.9042  8 Hg 3.15-3.27
Er 0.2360 0.7500 0.4725  2 Hg 3.14-3.15, 4 Er 3.36
Er 0.7640 0.2500 0.5275  2 Hg 3.14-3.15, 4 Er 3.36
Hg 0.6448 0.7500 0.2883  4 Er 3.14-3.24, 4 Nd 3.27
Hg 0.3552 0.2500 0.7117  4 Er 3.14-3.24, 4 Nd 3.27
Hg 0.4558 0.7500 0.9111  6 Er 3.15-3.27, 2 Nd 3.36-3.37
Hg 0.5442 0.2500 0.0889  6 Er 3.15-3.27, 2 Nd 3.36-3.37

## Properties
Offset from the most stable computed form in meV per atom: 0
Energy relative to the elements in kcal/mol of atoms: -8.70
Space group: P2_1/m (11)

Entry 4:
Here is a relaxed structure of CdGaB2Pb from the Alexandria database. Energies are from GGA-PBE.

a b c (Å): 4.3962 5.5260 4.3962
angles (deg): 90.00 90.00 90.00
With the nearest neighbours (Å) after each atom.
Positions (direct):
Pb 0.5000 0.5000 0.5000  4 Ga 3.11
B 0.0000 0.0000 0.5000  2 Cd 2.20
B 0.5000 0.0000 0.0000  2 Cd 2.20
Ga 0.0000 0.5000 0.0000  2 Cd 2.76
Cd 0.0000 0.0000 0.0000  4 B 2.20

## Properties
Energy relative to the elements in kcal/mol of atoms: 34.89
Space group: P4/mmm (123)

----------

i:
A plane-wave DFT calculation with meta-GGA SCAN was carried out for a crystal of Cs2RbAg2 relaxed with PBEsol.

Geometry as POSCAR:
```
Cs2RbAg2
1.0
-4.0253 -1.5369 -1.8440
5.1094 -5.2629 -6.7670
0.1484 -7.8222 6.1957
Ag Cs Rb
4 4 2
Cartesian
4.4187 -9.5686 -1.6706
The crystal structures stop here:

it is heart breaking.....and yes, a feeling you can't explain. now, i look at our children and sometimes forget where they came from. they have been through more than we'll ever know......

thanks for sharing :)

Lena Just Lena said...

Hi Michele,

Just dropping by to say hi, and to remind you about being 'tagged' to list seven random quirky things about you on your blog. You can then tag 4 other bloggers to play along.

You can read my list/post at

Hope you guys are doing well!